Brief:
Please repeat the material further below from the first line to the one with "35.16°, rel." with every line break kept.

Entries:
=====
Theoretical X-ray powder pattern
Compound: Dy2VO5
Radiation: CuKα
Structure: a DFT-relaxed cell (GGA+U, Alexandria)
Lines closer than 0.1° are merged.

Crystal structure
Cell: 9.2674 7.0951 6.7816 Å, 90.00 95.27 90.00°
Fractional coordinates of all 32 atoms:
Dy1 0.0291 0.1192 0.2304
Dy2 0.0291 0.3808 0.7304
Dy3 0.3475 0.1472 0.9572
Dy4 0.3475 0.3528 0.4572
Dy5 0.6525 0.6472 0.5428
Dy6 0.6525 0.8528 0.0428
Dy7 0.9709 0.6192 0.2696
Dy8 0.9709 0.8808 0.7696
V1 0.3080 0.6026 0.9584
V2 0.3080 0.8974 0.4584
V3 0.6920 0.1026 0.5416
V4 0.6920 0.3974 0.0416
O1 0.1034 0.1191 0.9096
O2 0.1034 0.3809 0.4096
O3 0.1089 0.6425 0.9541
O4 0.1089 0.8575 0.4541
O5 0.2781 0.0853 0.2643
O6 0.2781 0.4147 0.7643
O7 0.3770 0.0688 0.6386
O8 0.3770 0.4312 0.1386
O9 0.3995 0.6738 0.4858
O10 0.3995 0.8262 0.9858
O11 0.6005 0.1738 0.0142
O12 0.6005 0.3262 0.5142
O13 0.6230 0.5688 0.8614
O14 0.6230 0.9312 0.3614
O15 0.7219 0.5853 0.2357
O16 0.7219 0.9147 0.7357
O17 0.8911 0.1425 0.5459
O18 0.8911 0.3575 0.0459
O19 0.8966 0.6191 0.5904
O20 0.8966 0.8809 0.0904

Most intense lines, 2θ from 10° to 80°, low angle first:
2theta  d (Å)  Rel. int.
15.8  5.625  384
27.3  3.269  599
29.0  3.077  664
30.5  2.935  1000
33.8  2.649  580
34.3  2.613  219
47.9  1.901  263
50.1  1.822  261

=====

No. 1
For KHgB2, DFT lattice parameters and positions (GGA-PBE) gives the theoretical X-ray diffraction stick pattern in this record (Cu Kα X-rays).
No peak broadening, texture or thermal motion is included.

The 10 most intense peaks (15 to 90 degrees two-theta), by angle:
- 20.49 deg, intensity 640
- 22.78 deg, intensity 428
- 26.14 deg, intensity 257
- 30.27 deg, intensity 1000
- 39.97 deg, intensity 236
- 44.96 deg, intensity 337
- 45.34 deg, intensity 219
- 46.51 deg, intensity 391
- 62.97 deg, intensity 259
- 66.66 deg, intensity 310

Crystal structure
```
KHgB2
1.0
-2.2554 2.2554 7.8071
2.2554 -2.2554 7.8071
2.2554 2.2554 -7.8071
K Hg B
2 2 4
direct
0.3750 0.6250 0.7500
0.6250 0.3750 0.2500
0.1250 0.8750 0.2500
0.8750 0.1250 0.7500
0.0000 0.0000 0.0000
0.0000 0.0000 0.5000
0.0000 0.5000 0.0000
0.5000 0.0000 0.5000
```

---

No. 2
For MgSc2HgB, DFT lattice parameters and positions (GGA-PBE) gives the theoretical X-ray diffraction stick pattern in this record (Cu Kα X-rays).
No peak broadening, texture or thermal motion is included.

The 10 most intense peaks (15 to 90 degrees two-theta), by angle:
- 18.93 deg, intensity 554
- 26.89 deg, intensity 189
- 27.42 deg, intensity 589
- 33.53 deg, intensity 1000
- 38.40 deg, intensity 381
- 39.91 deg, intensity 170
- 43.15 deg, intensity 150
- 47.83 deg, intensity 264
- 56.58 deg, intensity 239
- 66.36 deg, intensity 270

Crystal structure
```
MgSc2HgB
1.0
4.6883 0.0000 0.0000
0.0000 4.6883 0.0000
0.0000 0.0000 4.5177
Mg Sc Hg B
1 2 1 1
direct
0.0000 0.0000 0.0000
0.0000 0.5000 0.5000
0.5000 0.0000 0.5000
0.5000 0.5000 0.0000
0.0000 0.0000 0.5000
```

=====

Entry 1:
Simulated PXRD pattern of Na2CeCd9 for Cu Ka, from a crystal structure in Alexandria, relaxed with PBE.
Lines closer than 0.1° are merged.

Peak list (10 most intense, 5° ≤ 2θ ≤ 70°, most intense first)
(1 1 6), 2.529 Å, 35.50°, rel. 100
(2 0 5), 2.347 Å, 38.35°, rel. 31
(0 0 12), 2.438 Å, 36.86°, rel. 30
(1 0 1), 5.048 Å, 17.57°, rel. 28
(0 2 7), 2.185 Å, 41.31°, rel. 24
(0 2 1), 2.553 Å, 35.16°, rel. 22
(0 0 3), 9.754 Å, 9.07°, rel. 21
(0 3 6), 1.612 Å, 57.13°, rel. 20
(2 2 0), 1.479 Å, 62.81°, rel. 20
(1 0 4), 4.197 Å, 21.17°, rel. 14

Structural model:
```
data_Na2CeCd9
_space_group_name_H-M_alt 'R -3 m'
_space_group_IT_number 166
_space_group_name_Hall '-R 3 2"'
_cell_length_a 5.9179
_cell_length_b 5.9179
_cell_length_c 29.2612
_cell_angle_alpha 90.00
_cell_angle_beta 90.00
_cell_angle_gamma 120.00
loop_
_atom_site_label
_atom_site_type_symbol
_atom_site_fract_x
_atom_site_fract_y
_atom_site_fract_z
Na1 Na 0.0000 0.0000 0.1430
Ce1 Ce 0.0000 0.0000 0.0000
Cd1 Cd 0.0000 0.0000 0.3346
Cd2 Cd 0.0000 0.0000 0.5000
Cd3 Cd 0.0055 0.5027 0.9150
```



Entry 2:
=====

Response:
Theoretical X-ray powder pattern
Compound: Dy2VO5
Radiation: CuKα
Structure: a DFT-relaxed cell (GGA+U, Alexandria)
Lines closer than 0.1° are merged.

Crystal structure
Cell: 9.2674 7.0951 6.7816 Å, 90.00 95.27 90.00°
Fractional coordinates of all 32 atoms:
Dy1 0.0291 0.1192 0.2304
Dy2 0.0291 0.3808 0.7304
Dy3 0.3475 0.1472 0.9572
Dy4 0.3475 0.3528 0.4572
Dy5 0.6525 0.6472 0.5428
Dy6 0.6525 0.8528 0.0428
Dy7 0.9709 0.6192 0.2696
Dy8 0.9709 0.8808 0.7696
V1 0.3080 0.6026 0.9584
V2 0.3080 0.8974 0.4584
V3 0.6920 0.1026 0.5416
V4 0.6920 0.3974 0.0416
O1 0.1034 0.1191 0.9096
O2 0.1034 0.3809 0.4096
O3 0.1089 0.6425 0.9541
O4 0.1089 0.8575 0.4541
O5 0.2781 0.0853 0.2643
O6 0.2781 0.4147 0.7643
O7 0.3770 0.0688 0.6386
O8 0.3770 0.4312 0.1386
O9 0.3995 0.6738 0.4858
O10 0.3995 0.8262 0.9858
O11 0.6005 0.1738 0.0142
O12 0.6005 0.3262 0.5142
O13 0.6230 0.5688 0.8614
O14 0.6230 0.9312 0.3614
O15 0.7219 0.5853 0.2357
O16 0.7219 0.9147 0.7357
O17 0.8911 0.1425 0.5459
O18 0.8911 0.3575 0.0459
O19 0.8966 0.6191 0.5904
O20 0.8966 0.8809 0.0904

Most intense lines, 2θ from 10° to 80°, low angle first:
2theta  d (Å)  Rel. int.
15.8  5.625  384
27.3  3.269  599
29.0  3.077  664
30.5  2.935  1000
33.8  2.649  580
34.3  2.613  219
47.9  1.901  263
50.1  1.822  261

=====

No. 1
For KHgB2, DFT lattice parameters and positions (GGA-PBE) gives the theoretical X-ray diffraction stick pattern in this record (Cu Kα X-rays).
No peak broadening, texture or thermal motion is included.

The 10 most intense peaks (15 to 90 degrees two-theta), by angle:
- 20.49 deg, intensity 640
- 22.78 deg, intensity 428
- 26.14 deg, intensity 257
- 30.27 deg, intensity 1000
- 39.97 deg, intensity 236
- 44.96 deg, intensity 337
- 45.34 deg, intensity 219
- 46.51 deg, intensity 391
- 62.97 deg, intensity 259
- 66.66 deg, intensity 310

Crystal structure
```
KHgB2
1.0
-2.2554 2.2554 7.8071
2.2554 -2.2554 7.8071
2.2554 2.2554 -7.8071
K Hg B
2 2 4
direct
0.3750 0.6250 0.7500
0.6250 0.3750 0.2500
0.1250 0.8750 0.2500
0.8750 0.1250 0.7500
0.0000 0.0000 0.0000
0.0000 0.0000 0.5000
0.0000 0.5000 0.0000
0.5000 0.0000 0.5000
```

---

No. 2
For MgSc2HgB, DFT lattice parameters and positions (GGA-PBE) gives the theoretical X-ray diffraction stick pattern in this record (Cu Kα X-rays).
No peak broadening, texture or thermal motion is included.

The 10 most intense peaks (15 to 90 degrees two-theta), by angle:
- 18.93 deg, intensity 554
- 26.89 deg, intensity 189
- 27.42 deg, intensity 589
- 33.53 deg, intensity 1000
- 38.40 deg, intensity 381
- 39.91 deg, intensity 170
- 43.15 deg, intensity 150
- 47.83 deg, intensity 264
- 56.58 deg, intensity 239
- 66.36 deg, intensity 270

Crystal structure
```
MgSc2HgB
1.0
4.6883 0.0000 0.0000
0.0000 4.6883 0.0000
0.0000 0.0000 4.5177
Mg Sc Hg B
1 2 1 1
direct
0.0000 0.0000 0.0000
0.0000 0.5000 0.5000
0.5000 0.0000 0.5000
0.5000 0.5000 0.0000
0.0000 0.0000 0.5000
```

=====

Entry 1:
Simulated PXRD pattern of Na2CeCd9 for Cu Ka, from a crystal structure in Alexandria, relaxed with PBE.
Lines closer than 0.1° are merged.

Peak list (10 most intense, 5° ≤ 2θ ≤ 70°, most intense first)
(1 1 6), 2.529 Å, 35.50°, rel. 100
(2 0 5), 2.347 Å, 38.35°, rel. 31
(0 0 12), 2.438 Å, 36.86°, rel. 30
(1 0 1), 5.048 Å, 17.57°, rel. 28
(0 2 7), 2.185 Å, 41.31°, rel. 24
(0 2 1), 2.553 Å, 35.16°, rel. 22